Monkey Business at Monash University

Posted on by PETA Australia

Universities go to great lengths to woo prospective students, rightfully showing off the best that their facilities have to offer. But you can bet that there’s one thing that Monash University in Victoria isn’t telling prospective students about: its macaque-breeding colony, which is funded by the federal government. The colony ensures a ready supply of non-human primates for cruel and pointless experiments conducted by both Monash University and other groups.

........
Computed, not measured: a relaxed Zr2MnGeAs crystal at the PBE level of DFT.

Geometry as extended XYZ:
```
5
Lattice="4.969 0.000 0.000 0.000 4.434 0.000 0.000 0.000 4.969" Properties=species:S:1:pos:R:3 pbc="T T T"
Mn 0.000 0.000 0.000
Zr 2.484 0.000 0.000
Ge 0.000 2.217 0.000
Zr 0.000 0.000 2.484
As 2.484 2.217 2.484
```

Calculated values
raw total energy	-7.073	eV/atom
total magnetization	0.00	Bohr magnetons per cell
V	21.89	Å³/atom


# CaSb2Te

A relaxed structure of CaSb2Te (PBE, the Alexandria database).

Properties
The calculation puts the formation energy (no corrections) at -190 kJ/mol of formula units. The calculation puts the density of states at the Fermi level at 4.7 states/eV per cell. The total magnetization comes out at 0.000 μB per formula unit.

Unit cell a=4.4488 b=4.4488 c=11.7352 alpha=90.00 beta=90.00 gamma=90.00
Space group I4/mmm (No. 139)
Asymmetric unit:
Ca 0.0000 0.0000 0.0000 x2
Sb 0.0000 0.5000 0.2500 x4
Te 0.0000 0.0000 0.5000 x2
........

monkey hanging onto cage looking at cameraRommel Manuel

Experiments on animals are never more controversial than when undertaken on primates. Yet despite this, the number of such experiments in Victoria has reportedly tripled over the last five years.

Previous experiments carried out in Victoria have involved infecting macaques with HIV, shocking marmosets, deliberately overdosing baby marmosets with opiates and giving diseases to pregnant baboons. According to Professor Anne Keogh AM, an Australian cardiologist and a former president of the International Society for Heart and Lung Transplantation,

“The problem lies in the animal ethics committees”.

Professor Keogh points out that although animal models are known to be flawed with regards to being applicable to humans, effective alternatives which are readily available are not being used. If, as she suggests, animal ethics committees are acting as administrators rather than regulators, then there is little incentive for experimenters to take up humane forms of research.

Dr. Andrew Knight, a fellow of the Oxford Centre for Animal Ethics, agrees with Professor Keogh, saying,

“Almost every large-scale scientific study to have examined this issue has indicated that animal experiments contribute little to human healthcare advancements, despite their enormous costs. Our public health funds would be more responsibly spent elsewhere”.

Many of these barbaric and senseless experiments are funded by the federal government using the public’s tax dollars and by health charities such as the Australian Cancer Research Foundation and the National Heart Foundation of Australia. This money would be better spent on relevant human-based research.

Today’s non-animal tests are cheaper, faster and more accurate at predicting human reactions to chemicals and other substances than archaic animal tests ever were. It’s time for institutions like Monash University to realise that animals are not ours to experiment on and start spending their time and money on useful and humane research instead.